[Listing]
........
Record 1
50
Lattice="0.8096 -3.1425 6.4713 7.0470 -0.9699 -1.3448 6.9829 11.6381 8.8075" Properties=species:S:1:pos:R:3 comment="Tc6BiO18 PBE-GGA optimized geometry" formation_energy_kj_per_mol_fu=-4232 space_group="C2/c (15)" magmom_total_mub_per_cell=0.1 pbc="T T T"
Tc 3.5235 -0.4849 -0.6724
O 2.5470 0.5866 0.5089
O 7.2540 7.8357 12.9667
O 9.2088 8.5337 11.4588
Bi 0.4048 -1.5713 3.2357
O 12.4827 5.6309 9.8521
O 4.2269 -2.3032 4.3693
O 4.7671 4.7109 9.2777
Tc 3.8963 4.2478 7.6394
O 10.0724 2.8148 4.6564
O 7.6936 1.9711 7.7723
O 7.5855 -0.3099 0.9674
Tc 8.8548 6.7537 12.2961
O 10.5050 6.0871 11.7242
O 8.5489 0.8029 5.3964
O 4.4680 5.8586 6.8807
Tc 5.9847 0.7720 1.6380
O 10.3716 1.6671 7.0534
O 7.3356 3.2783 5.0272
O 5.1528 0.2424 0.0154
O 2.6444 -0.6163 3.0238
O 8.4180 3.6382 2.7292
Tc 8.4849 2.0220 3.9806
O 7.9113 6.2355 10.7406
O 7.5040 4.2475 8.9069
O 2.8922 -0.1157 8.2511
O 12.2925 6.9391 13.4252
Tc 3.9283 -2.0562 2.5633
Tc 12.3811 6.2513 11.6054
Tc 8.8780 0.4282 7.2163
O 10.6127 9.8289 9.5648
O 7.4321 -0.7313 7.4021
O 6.9282 1.2902 3.1935
O 4.3345 1.4386 2.2099
O 7.4075 8.2570 6.5320
O 5.6307 -1.0079 2.4753
Bi 7.0150 5.3341 3.7314
O 7.1460 5.5546 6.1618
O 9.6868 7.2834 13.9187
Tc 5.9616 7.0975 6.7178
Tc 2.4584 1.2744 2.3287
Tc 7.4198 3.7629 6.9671
O 6.2906 6.7228 8.5377
O 2.3569 1.8949 4.0820
O 9.2420 4.0466 6.8637
O 6.4216 3.8875 11.2049
O 11.9474 7.6414 5.6830
O 12.1951 8.1420 10.9103
O 5.5975 3.4791 7.0704
Tc 6.3547 5.5037 9.9535

Record 2
50
Lattice="7.2651 0.0000 0.0000 -0.0044 7.2660 0.0000 -3.5794 -3.5953 15.4333" Properties=species:S:1:pos:R:3 comment="Tc6BiO18 PBE-GGA optimized geometry" formation_energy_kj_per_mol_fu=-4253 space_group="P1 (1)" magmom_total_mub_per_cell=0.0 pbc="T T T"
O 3.9701 5.8383 1.2975
O -1.7255 -0.0034 9.4074
O -0.5091 1.3090 11.6066
O 0.4997 2.3357 6.4232
O -0.3434 2.2654 14.1218
Tc -3.5247 -3.5290 15.4026
Tc 5.4686 5.4689 2.5319
Tc 3.6746 0.1291 10.2688
O -0.2704 -2.0071 14.2052
O 4.1910 1.3513 11.5783
Tc -1.7885 -1.7813 12.7916
O 3.2177 5.1153 6.3759
O -0.5043 4.9461 3.8548
O 5.3983 3.5964 1.6718
O -3.1174 -2.2080 14.1811
O 1.8178 3.6679 14.9039
O 5.3937 -0.0032 3.0759
O 1.8285 3.7273 8.2434
Tc 1.7670 1.8487 7.6811
O -1.7567 0.0142 13.7252
Tc 0.0569 0.0647 10.3632
Tc 3.6544 3.6010 5.1285
Tc 0.0792 3.5509 15.4043
O 3.2349 1.3621 8.9469
O 3.9661 1.5481 1.2168
Tc -1.8215 1.8341 12.8734
O 1.8823 0.0339 0.5015
O 1.8518 0.0540 10.7948
O 4.2466 -1.2171 11.5302
O 5.4755 3.6996 5.9828
O 0.3281 -1.4406 8.9501
Tc 5.4442 1.8038 2.6057
Bi 3.6196 3.3521 0.0263
O 1.8465 -0.0249 7.1925
O 1.8285 3.6476 4.6342
O 6.7501 1.2662 1.2845
O -0.5121 2.3498 3.8315
O 0.2943 5.1331 6.4875
Tc 2.0110 -1.7871 7.7152
O 3.1720 2.3412 6.4732
O -0.4365 -1.2949 11.5630
O 6.7458 5.8855 1.2804
O -3.1453 2.3166 14.2287
O 4.1640 2.3221 3.8450
Bi -1.4368 -1.7745 7.7485
O 3.2472 -1.4184 9.0519
O 4.2069 4.8769 3.8384
O 0.5484 1.3732 8.9938
Tc 0.0181 3.6588 5.0586
O -1.7655 3.6900 12.4265

Record 3
96
Lattice="-9.4406 0.4204 6.9336 1.0216 -11.4880 2.0874 6.8708 2.2857 9.2165" Properties=species:S:1:pos:R:3 comment="TcBi3O8 PBE-GGA optimized geometry" formation_energy_kj_per_mol_fu=-2093 space_group="P2_13 (198)" pbc="T T T"
O 1.3858 -1.3913 6.8028
Bi -2.7741 -8.2959 13.8674
O -0.2600 -7.7265 5.5064
O -0.7250 -2.6956 2.0044
O -8.5197 -4.9655 7.9826
O 0.2907 -2.1585 11.4905
Bi 1.3363 -2.6411 8.8431
O 3.1279 -1.3669 8.8563
Bi -2.7250 -9.1298 9.5567
Bi 3.4220 -0.2645 6.9770
O 0.0174 -5.1193 4.8915
O -0.0507 -0.2877 0.5974
O 0.2375 -9.6976 10.1689
O -4.4735 -8.2156 8.5882
Bi -6.4090 -9.2470 8.7342
O -1.6140 -8.7320 3.4068
O -2.9328 -9.3085 15.8069
O 1.8157 -7.9452 11.8031
O -4.0558 -5.2254 9.6447
O -4.7689 -1.6897 8.0305
Tc -5.0666 -5.8714 10.9107
O -4.2576 -7.2404 11.6270
Bi -2.1286 1.0286 14.0456
O -0.6776 -9.4235 14.1128
Bi -1.9758 -3.9755 4.6505
O 2.2468 2.1152 12.3062
O -3.5531 1.1123 9.7779
Bi -1.7617 0.0424 10.4186
O -7.6665 -2.3750 7.1326
O -0.8156 -4.6265 9.6079
O -3.3288 -1.6518 10.3059
O 5.5279 -1.1816 7.6489
........
[Work order]
Repeat the notes further up from the line with "9.2420 4.0466" to the end word for word.
[Written answer]
O 9.2420 4.0466 6.8637
O 6.4216 3.8875 11.2049
O 11.9474 7.6414 5.6830
O 12.1951 8.1420 10.9103
O 5.5975 3.4791 7.0704
Tc 6.3547 5.5037 9.9535

Record 2
50
Lattice="7.2651 0.0000 0.0000 -0.0044 7.2660 0.0000 -3.5794 -3.5953 15.4333" Properties=species:S:1:pos:R:3 comment="Tc6BiO18 PBE-GGA optimized geometry" formation_energy_kj_per_mol_fu=-4253 space_group="P1 (1)" magmom_total_mub_per_cell=0.0 pbc="T T T"
O 3.9701 5.8383 1.2975
O -1.7255 -0.0034 9.4074
O -0.5091 1.3090 11.6066
O 0.4997 2.3357 6.4232
O -0.3434 2.2654 14.1218
Tc -3.5247 -3.5290 15.4026
Tc 5.4686 5.4689 2.5319
Tc 3.6746 0.1291 10.2688
O -0.2704 -2.0071 14.2052
O 4.1910 1.3513 11.5783
Tc -1.7885 -1.7813 12.7916
O 3.2177 5.1153 6.3759
O -0.5043 4.9461 3.8548
O 5.3983 3.5964 1.6718
O -3.1174 -2.2080 14.1811
O 1.8178 3.6679 14.9039
O 5.3937 -0.0032 3.0759
O 1.8285 3.7273 8.2434
Tc 1.7670 1.8487 7.6811
O -1.7567 0.0142 13.7252
Tc 0.0569 0.0647 10.3632
Tc 3.6544 3.6010 5.1285
Tc 0.0792 3.5509 15.4043
O 3.2349 1.3621 8.9469
O 3.9661 1.5481 1.2168
Tc -1.8215 1.8341 12.8734
O 1.8823 0.0339 0.5015
O 1.8518 0.0540 10.7948
O 4.2466 -1.2171 11.5302
O 5.4755 3.6996 5.9828
O 0.3281 -1.4406 8.9501
Tc 5.4442 1.8038 2.6057
Bi 3.6196 3.3521 0.0263
O 1.8465 -0.0249 7.1925
O 1.8285 3.6476 4.6342
O 6.7501 1.2662 1.2845
O -0.5121 2.3498 3.8315
O 0.2943 5.1331 6.4875
Tc 2.0110 -1.7871 7.7152
O 3.1720 2.3412 6.4732
O -0.4365 -1.2949 11.5630
O 6.7458 5.8855 1.2804
O -3.1453 2.3166 14.2287
O 4.1640 2.3221 3.8450
Bi -1.4368 -1.7745 7.7485
O 3.2472 -1.4184 9.0519
O 4.2069 4.8769 3.8384
O 0.5484 1.3732 8.9938
Tc 0.0181 3.6588 5.0586
O -1.7655 3.6900 12.4265

Record 3
96
Lattice="-9.4406 0.4204 6.9336 1.0216 -11.4880 2.0874 6.8708 2.2857 9.2165" Properties=species:S:1:pos:R:3 comment="TcBi3O8 PBE-GGA optimized geometry" formation_energy_kj_per_mol_fu=-2093 space_group="P2_13 (198)" pbc="T T T"
O 1.3858 -1.3913 6.8028
Bi -2.7741 -8.2959 13.8674
O -0.2600 -7.7265 5.5064
O -0.7250 -2.6956 2.0044
O -8.5197 -4.9655 7.9826
O 0.2907 -2.1585 11.4905
Bi 1.3363 -2.6411 8.8431
O 3.1279 -1.3669 8.8563
Bi -2.7250 -9.1298 9.5567
Bi 3.4220 -0.2645 6.9770
O 0.0174 -5.1193 4.8915
O -0.0507 -0.2877 0.5974
O 0.2375 -9.6976 10.1689
O -4.4735 -8.2156 8.5882
Bi -6.4090 -9.2470 8.7342
O -1.6140 -8.7320 3.4068
O -2.9328 -9.3085 15.8069
O 1.8157 -7.9452 11.8031
O -4.0558 -5.2254 9.6447
O -4.7689 -1.6897 8.0305
Tc -5.0666 -5.8714 10.9107
O -4.2576 -7.2404 11.6270
Bi -2.1286 1.0286 14.0456
O -0.6776 -9.4235 14.1128
Bi -1.9758 -3.9755 4.6505
O 2.2468 2.1152 12.3062
O -3.5531 1.1123 9.7779
Bi -1.7617 0.0424 10.4186
O -7.6665 -2.3750 7.1326
O -0.8156 -4.6265 9.6079
O -3.3288 -1.6518 10.3059
O 5.5279 -1.1816 7.6489